Wanted
Work out how many lines underneath have the word "As" in them; a number is enough.
Input
/*
Run A
SiC | PBE-GGA | relaxed

Lattice parameters (Å, degrees): 3.0955 3.0955 53.1296 90.00 90.00 120.00
Space group R3m (No. 160, hexagonal axes)
One atom of each set of equivalent atoms:
Si 0.0000 0.0000 0.0000
Si 0.0000 0.0000 0.0953
Si 0.0000 0.0000 0.2381
Si 0.0000 0.0000 0.3810
Si 0.0000 0.0000 0.5238
Si 0.0000 0.0000 0.6191
Si 0.0000 0.0000 0.8095
C 0.0000 0.0000 0.0357
C 0.0000 0.0000 0.1310
C 0.0000 0.0000 0.2739
C 0.0000 0.0000 0.4168
C 0.0000 0.0000 0.5595
C 0.0000 0.0000 0.6548
C 0.0000 0.0000 0.8453

Computed properties:
largest piezoelectric modulus	0.078	C/m²
crystal system	trigonal



Run B
SiC | PBE-GGA | relaxed

Lattice parameters (Å, degrees): 3.0940 3.0940 10.1278 90.00 90.00 120.00
Space group P6_3mc (No. 186)
One atom of each set of equivalent atoms:
Si 0.0000 0.0000 0.0000
Si 0.3333 0.6667 0.2500
C 0.0000 0.0000 0.3125
C 0.3333 0.6667 0.0619

Computed properties:
largest piezoelectric modulus	0.064	C/m²
crystal system	hexagonal



Best to worst by energy: run B, run A.

~~~~~

This record from Materials Project describes an optimized crystal structure of Cs2TlSbI6. The functional is PBE.

For the total moment, the calculation gives 0.00 μB per formula unit. The total DFT energy (no corrections) is -2.65 eV/atom.

The structure in CIF format:
```
data_Cs2TlSbI6
_symmetry_space_group_name_H-M 'P 1'
_symmetry_Int_Tables_number 1
_cell_length_a 8.9950
_cell_length_b 8.9950
_cell_length_c 8.9950
_cell_angle_alpha 60.00
_cell_angle_beta 60.00
_cell_angle_gamma 60.00
loop_
_symmetry_equiv_pos_as_xyz
'x,y,z'
loop_
_atom_site_label
_atom_site_fract_x
_atom_site_fract_y
_atom_site_fract_z
Cs1 0.7500 0.7500 0.7500
Cs2 0.2500 0.2500 0.2500
Tl1 0.5000 0.5000 0.5000
Sb1 0.0000 0.0000 0.0000
I1 0.7614 0.2386 0.2386
I2 0.2386 0.2386 0.7614
I3 0.2386 0.7614 0.7614
I4 0.2386 0.7614 0.2386
I5 0.7614 0.2386 0.7614
I6 0.7614 0.7614 0.2386
```

This record from Materials Project describes an optimized crystal structure of Ba2NaSr2Sb3O12. The functional is PBE.

As for the energy above the most stable polymorph in this dataset: 0 meV per atom. For the total moment, the calculation gives 0.00 μB per formula unit. The total DFT energy (no corrections) is -6.14 eV/atom.

The structure in CIF format:
```
data_Ba2NaSr2Sb3O12
_symmetry_space_group_name_H-M 'P 1'
_symmetry_Int_Tables_number 1
_cell_length_a 8.3363
_cell_length_b 8.3363
_cell_length_c 8.2756
_cell_angle_alpha 90.00
_cell_angle_beta 90.00
_cell_angle_gamma 90.49
loop_
_symmetry_equiv_pos_as_xyz
'x,y,z'
loop_
_atom_site_label
_atom_site_fract_x
_atom_site_fract_y
_atom_site_fract_z
Ba1 0.2499 0.2499 0.2541
Ba2 0.7501 0.7501 0.7459
Ba3 0.2501 0.2501 0.7541
Ba4 0.7499 0.7499 0.2459
Na1 0.0000 0.0000 0.0000
Na2 0.5000 0.5000 0.5000
Sr1 0.2471 0.7471 0.2500
Sr2 0.2529 0.7529 0.7500
Sr3 0.7529 0.2529 0.7500
Sr4 0.7471 0.2471 0.2500
Sb1 0.0000 0.5000 0.0000
Sb2 0.5000 0.0000 0.0000
Sb3 0.0000 0.5000 0.5000
Sb4 0.5000 0.0000 0.5000
Sb5 0.5000 0.5000 0.0000
Sb6 0.0000 0.0000 0.5000
O1 0.9692 0.4692 0.2500
O2 0.5308 0.0308 0.7500
O3 0.0308 0.5308 0.7500
O4 0.4692 0.9692 0.2500
O5 0.0173 0.0173 0.2706
O6 0.9827 0.9827 0.7294
O7 0.4827 0.4827 0.7706
O8 0.5173 0.5173 0.2294
O9 0.0058 0.7283 0.0251
O10 0.2717 0.9942 0.9749
O11 0.7717 0.4942 0.5251
O12 0.5058 0.2283 0.4749
O13 0.9942 0.2717 0.9749
O14 0.7283 0.0058 0.0251
O15 0.2283 0.5058 0.4749
O16 0.4942 0.7717 0.5251
O17 0.0033 0.7498 0.4743
O18 0.2502 0.9967 0.5257
O19 0.7502 0.4967 0.9743
O20 0.5033 0.2498 0.0257
O21 0.9967 0.2502 0.5257
O22 0.7498 0.0033 0.4743
O23 0.2498 0.5033 0.0257
O24 0.4967 0.7502 0.9743
```

This record from Materials Project describes an optimized crystal structure of Mg5Mn3. The functional is PBE.

As for the energy above the most stable polymorph in this dataset: 0 meV per atom. For the total moment, the calculation gives 10.78 μB per formula unit. The total DFT energy (no corrections) is -4.17 eV/atom.

The structure in CIF format:
```
data_Mg5Mn3
_symmetry_space_group_name_H-M 'P 1'
*/
Response
2